Trailer Park Boys
Mike Clattenburg, John Paul Tremblay and Robb Wells met in high school in the late '80s. The three always had a strange and bizarre sense of humour, always playing practical jokes on people and getting into trouble. Clattenburg was the champion of practical jokes and used these situations to study people's behaviours.
Clattenburg started working for a local community cable channel and had his own show called 'That Damn Cable Show' giving him a medium to express his off-the-wall sense or humour. Tremblay and Wells were huge fans of his sketch comedy and it gave them the bug to want to get in front of the camera as well. Clattenburg always involved his friends when he was starting out and suggested that Tremblay and Wells start experimenting with a video camera while passing the time in PEI running a pizza restaurant. The skits were crude and the sound was horrible, but it did serve as a good tool to improve on ideas and hone in on their acting abilities.
On a couple occasions Clattenburg, Tremblay, and Wells managed to get together and experiment with Clattenburg behind the lens. Once in a while they'd show the tapes to friends and although the friends thought they were insane, they did genuinely laugh at some of the material and from that point on they all had the entertainment bug.
It was now time to get serious so the three set out to make a short film for the Atlantic Film Festival. With no money, Tremblay travelling from PEI and Wells from Bangor, Maine, it was a long, tedious process. The payoff was the self-financed feature 'One Last Shot', filmed and directed by Clattenburg. He was presented the best cinematography award for his efforts while John Dunsworth received the best male actor for his initial portrayal of Mr. Lahey. For their roles in the film Tremblay and Wells were also showing early traits of 'Ricky and Julian'. After seeing the audiences' reaction Clattenburg, Wells and Tremblay immediately started talking about a new project. Busy working other jobs, they got together to brainstorm and eventually decided to shoot a mockumentary set in trailer park. With little money and a small crew, the film 'Trailer Park Boys' was shot. While doing sound on the film, Mike Smith' entered the mix and the loveable character 'Bubbles' was born.
The film premiered at the Atlantic Film Festival and in attendance that night was Producer / Actor Barrie Dunn who immediately thought the movie and its characters would be a great premise for a television series. The next day Dunn drove to Sydney, Cape Breton to meet with Clattenburg who was there directing episodes of 'Pit Pony' for CBC. That night, over diet colas at Smooth Herman's, Dunn talked to Clattenburg about the possibility of making 'Trailer Park Boys' into a television series. Dunn, Clattenburg, Wells and Tremblay collaborated on a proposal.
Dunn and Clattenburg flew to Toronto for initial meetings
but had no luck. Driving down Eglinton Avenue discouraged, hungry and
tired, they decided to pitch the idea to Showcase. The problem was they
didn't have an appointment with anybody and they had to fly back to
Halifax the next day. They finally got in touch with Laura
Michalchyshyn, Senior Vice President of Programming at Showcase, who
probably now regrets answering her phone that day. Michalchyshyn, being
the astute woman that she is, saw the merit in a low-budget, edgy
mockumentary about dope-smoking, hard-talking 'Trailer Park Boys'.
She kindly agreed to see the two and listened to their pitch. Shortly
after, Michalchyshyn called Dunn to tell him Showcase would be
interested in a first season of 'Trailer Park Boys' episodes.
Records of molecules that have nothing to do with the piece =
********
#one
Here is an isolated ion of composition C3H8NOS and charge +1 from the Open Molecules 2025 dataset. Energies are from wB97M-V/def2-TZVPD.

Atoms and positions in Å:
S  2.11533  -0.29242  1.78844
O  -0.08412  1.66715  1.60038
N  0.82455  -0.44471  0.88641
C  0.41980  -1.59692  0.24163
C  -0.29128  0.67502  0.74925
C  -0.28186  0.97197  -0.79595
H  0.58950  -2.45046  0.97377
H  1.06744  -1.94022  -0.61700
H  -0.74254  0.09967  -1.23807
H  -0.89065  1.86087  -1.08797
H  0.75677  1.08140  -1.18917
H  -1.23088  0.18604  0.96064
H  -0.65418  -1.43041  -0.00458
H  0.12815  2.49925  1.12862

Computed properties:
* HOMO level: -15.12 eV
* lowest unoccupied orbital energy: -7.32 eV
* HOMO-LUMO gap: 7.80 eV
* total charge: +1
* SMILES: C[C@H](O)[N+](C)=S



#two
Here is an isolated ion of composition C3H8NOS and charge +1 from the Open Molecules 2025 dataset. Energies are from wB97M-V/def2-TZVPD.

Atoms and positions in Å:
S  1.34016  -0.25844  2.57516
O  -1.50173  0.20950  -1.44783
N  -0.00183  -0.51370  0.25333
C  0.16085  0.83689  -0.11353
C  -0.15524  0.74695  -1.59023
C  0.37024  -1.04573  1.29459
H  1.32626  -1.29174  3.42975
H  0.04028  -2.00002  1.73773
H  0.47746  -0.03913  -2.04612
H  -0.70549  1.30648  0.36613
H  -0.70356  -0.93413  -0.33392
H  1.11552  1.25400  0.29209
H  0.00473  1.62769  -2.10921
H  -1.76764  0.10136  -2.30793

Computed properties:
* HOMO level: -14.93 eV
* lowest unoccupied orbital energy: -4.22 eV
* HOMO-LUMO gap: 10.71 eV
* total charge: +1



#two (114.7 kJ/mol below the next structure)



#one
Here is a 3-piece molecular cluster, C3H14NO2 overall from the Open Molecules 2025 dataset. Energies are from wB97M-V/def2-TZVPD.

Atoms and positions in Å:
O  0.01555  -0.83727  2.29185
O  -1.49160  1.95417  0.88251
N  -0.35338  -0.21967  -0.33310
C  2.03993  0.49931  -0.78177
C  0.87634  -0.28072  -1.21811
C  -1.44205  -1.15820  -0.68995
H  2.20100  0.46538  0.31691
H  1.11422  -1.32092  -1.36852
H  2.89504  -0.12183  -1.24148
H  -0.63551  0.81888  -0.34487
H  -1.21961  -1.47566  -1.80483
H  -0.06657  -0.72610  3.23231
H  0.28340  -1.76234  2.26983
H  2.10312  1.58220  -1.08446
H  0.06562  -0.20834  0.62066
H  -2.12514  2.63188  0.68559
H  0.52254  0.19869  -2.13794
H  -0.76829  2.41274  1.37724
H  -2.35394  -0.50767  -0.71973
H  -1.66068  -1.94453  0.04786

Computed properties:
* HOMO level: -15.92 eV
* lowest unoccupied orbital energy: -2.96 eV
* HOMO-LUMO gap: 12.96 eV
* total charge: +1



#two
Here is a 3-piece molecular cluster, C3H14NO2 overall from the Open Molecules 2025 dataset. Energies are from wB97M-V/def2-TZVPD.

Atoms and positions in Å:
O  4.19900  -1.45922  -4.81175
O  0.90891  -0.84291  0.25458
N  -1.15843  0.15480  1.78888
C  -2.23349  0.05318  -0.56993
C  -1.45064  0.90135  0.46679
C  -0.11338  0.95719  2.59204
H  0.51604  1.46295  1.91239
H  -1.91758  1.92360  0.81187
H  -0.78209  -0.78432  1.52953
H  1.63367  -0.63928  -0.49481
H  -0.51725  1.35137  0.02470
H  -3.22816  0.24895  -0.45193
********
But they didn't stop there and proceeded to get Mike Volpe drunk one
night and forced him into a partnership to produce the series. The three
also managed to sober up long enough to collaborate on other projects.
Although they all still live on hot dogs, macaroni & cheese and chicken
fingers, they have never been happier.

Trailer Park Boys